Based Brother Nathanael

- - -
[1]
13
Properties=species:S:1:pos:R:3:forces:R:3 method="wB97M-V/def2-TZVPD" relative_energy_ev=2.744 homo_ev="-8.71 / -8.68" lumo_energy_ha="-0.0916 / -0.0890" orbital_gap_ha="0.2286 / 0.2301"
S 1.076488 0.489499 0.684877 -0.222 0.029 -0.023
S -3.983614 0.596889 0.445489 0.427 -0.110 0.063
S -1.006310 -0.756376 -1.588816 0.311 -0.148 -0.076
P -0.827098 -0.414562 0.487474 -0.148 -0.064 0.009
C -0.325399 -2.099442 1.053101 -0.072 0.279 -0.048
C 0.663997 2.138969 0.033606 -0.053 -0.409 0.049
H 0.428749 2.062474 -1.026433 -0.015 0.048 0.028
H -1.071943 -2.811881 0.702026 0.030 0.053 0.028
H -0.175825 2.546367 0.588258 -0.019 0.136 -0.011
H -2.162239 -0.104129 -1.654616 -0.309 0.164 -0.074
H 0.652636 -2.355538 0.645032 -0.038 -0.094 0.025
H 1.545710 2.753383 0.172806 0.057 0.119 0.018
H -0.292924 -2.116564 2.141545 0.051 -0.002 0.011


[2]
19
Properties=species:S:1:pos:R:3:forces:R:3 method="wB97M-V/def2-TZVPD" relative_energy_ev=3.529 homo_ev=-11.66 lumo_energy_ha=-0.1340 total_charge=+1 orbital_gap_ha=0.2943
Cl -2.542444 1.438140 -4.021189 0.169 -0.276 -0.718
N 2.952665 -0.588119 2.945994 -0.440 0.846 -1.727
N 0.598656 -1.053047 1.801778 -0.054 1.004 0.671
C -1.393365 1.586546 -1.657934 1.019 -2.335 -0.428
C -0.006969 -0.110764 -0.456343 -0.633 1.986 0.189
C -0.501561 1.281883 -0.689638 -1.373 -0.287 -0.256
C -1.999342 0.598571 -2.609335 0.126 2.051 0.801
C 0.201578 -0.617282 0.705993 0.566 -0.571 1.286
C -2.298311 -0.661516 -2.380762 0.635 -0.183 0.801
H -2.559402 -1.294628 -3.183042 -0.797 -0.621 -0.551
H -0.064245 -1.268892 2.546882 -0.537 -0.631 -0.727
H 3.447034 0.302318 3.007977 -0.719 0.508 -0.336
H 0.124317 -0.690689 -1.322446 -0.032 -0.989 -0.941
H -0.399095 2.090996 0.015598 0.993 -0.070 0.273
H 3.371696 -1.032763 2.067991 -0.089 -0.533 2.490
H 2.900230 -0.857847 3.920287 1.009 -1.672 -0.091
H -1.506976 2.596780 -1.946761 -0.642 1.023 0.302
H 1.864196 -0.663203 2.630209 0.669 0.868 -0.737
H -2.188661 -1.056483 -1.375258 0.131 -0.120 -0.300


[3]
134
Properties=species:S:1:pos:R:3:forces:R:3 method="wB97M-V/def2-TZVPD" spin_multiplicity=2 homo_ev="-11.04 / -11.04" lumo_energy_ha="-0.0865 / -0.3078" total_charge=+1 orbital_gap_ha="0.3191 / 0.0978"
O 2.012865 -5.995545 -2.451501 1.918 -0.932 0.964
O 2.405915 -0.906375 2.355419 1.000 0.579 -2.208
O -4.497705 -2.324865 -3.217801 0.204 -1.469 -0.902
O 1.831545 -4.006735 3.128009 0.153 -0.040 -0.732
O 5.430795 0.266125 -1.133721 0.117 0.078 0.683
O 0.549485 1.209525 -1.567771 0.625 -0.191 0.457
O 1.397045 3.074125 -4.869311 0.088 0.573 -0.152
O -5.733695 -2.947225 -0.700391 0.190 0.998 -2.047
O 1.155585 0.031435 -4.416051 -0.346 0.981 0.652
O -2.995355 -1.286895 -5.428511 0.139 -0.177 -0.557
O 0.321385 -1.967395 -0.053601 -0.249 2.030 0.266
O -2.733655 1.426625 3.560899 -0.497 -0.511 1.273
O -1.825065 -5.449085 -1.128781 -0.442 -0.415 -0.860
O -3.054135 -2.715865 -0.010531 0.197 -0.585 0.555
O 3.277395 1.763665 -3.549661 0.864 -1.142 0.646
O 0.065835 -4.566765 0.898839 -0.639 -0.175 -0.816
- - -

What's the Sup Forumsack view on this guy? Calling out em out one goyim at a time

Other urls found in this thread:

>Jews = EVIL
>plz donate :( :( :(

WW3 6/620016

Complete fucking sperg, but a harmless one at least.

I was about to make a thread about this guy.

He is a monk.
Monks are usually kind of low on money.

Jewish reject who became christian just to spite kike who rejected him. if you watch his vids you are wasting your time.

controlled opposition

He is very informative. Nice try kike shill.

America's lies on ukraine:

Jewish War on Holy Russia:

How the IMF really works

OP Brother Nathanael is a prophet of our times.

He's a Jew.

dank as fuck

hes apparently bipolar or something and he walks around doing his thing

I like him. He's better then the rest of the alt right fags you people worship.

Only for a new fag, he makes low quality videos compared to other Jewaware people and he literally kike you fucking faggot.

So what that he is jewish? He is on our side. Like Jesus Christ.

>rants about long robes
Dude. Everyone wears long robes. Jesus probably a long robe.

>dude says the Bible says no to long hair
What about Samson?

This guys entire video isn't even an argument. Brother Nathanael has never claimed to be a prophet. Protestantism is heresy, don't listen to their false teachers.

probably wore a long robe*


not to mention he is a jew who I doubt actually follows Christianity. He dances around in our traditional Christian clothing to mock us

He became a Christian just to spite kikes, he is not on your side, he just hates his own people. also he sucks putin's dick too much, thinks one side is good while another is bad as if we lived in a fantasy world.

Misplaced molecular data =
-- begin --
Density functional theory data (wB97M-V/def2-TZVPD) for a structure of composition C14H29N5O11P2ReS2 in a non-equilibrium geometry.

Geometry as XYZ:
```
64
C14H29N5O11P2ReS2 (wB97M-V/def2-TZVPD)
Re 0.34 -1.06 -1.86
S 2.49 -2.27 -2.30
S -0.79 1.14 4.61
P -1.20 -3.12 -2.21
P -2.80 -0.85 -2.29
O -2.59 -2.49 -2.57
O -0.69 -2.51 -0.88
O -3.25 -0.62 -0.92
O -2.40 3.73 -0.77
O -3.75 -0.48 -3.47
O 0.44 1.81 4.27
O -1.39 -0.27 -2.66
O -0.85 -0.31 4.48
O -3.29 3.24 1.15
O -1.37 -4.65 -2.19
O -0.10 -2.63 -3.18
N 1.26 0.17 -3.47
N -1.66 0.90 1.25
N -2.52 3.05 0.22
N 2.47 0.40 -0.87
N -0.21 0.33 -0.30
C -0.80 1.53 -0.68
C 2.61 1.51 -1.81
C -0.55 0.70 7.27
C -2.51 0.82 2.47
C -0.44 -1.23 1.68
C -2.06 1.82 3.53
C 2.44 1.07 -3.26
C 3.96 -1.37 -1.70
C -1.29 1.57 6.25
C -0.79 -0.03 0.88
C 3.63 -0.42 -0.57
C 1.52 -0.83 -4.55
C -1.67 1.87 0.27
C 2.50 -1.91 -4.10
H 1.90 -0.34 -5.45
H 0.45 -1.70 1.28
H 3.58 2.01 -1.72
H 1.85 2.25 -1.57
H 0.53 0.86 7.22
H -0.88 0.96 8.27
H 3.54 -1.68 -4.33
H 2.25 -2.85 -4.59
H 2.34 1.94 -3.89
H 4.65 -2.13 -1.34
H 2.09 0.75 0.00
H -2.37 1.42 6.29
H -1.05 2.63 6.36
H -1.59 2.70 3.09
H 0.57 -1.28 -4.80
H -3.53 1.00 2.18
H 4.42 -0.88 -2.55
H -2.42 -0.20 2.84
H 3.32 0.53 -3.59
H -0.57 2.06 -1.59
H -0.28 -0.96 2.72
H 4.52 0.16 -0.35
H -1.26 -1.96 1.64
H -4.67 -0.30 -3.20
H 3.39 -1.00 0.32
H -2.90 2.15 4.14
H -2.24 -5.03 -2.41
H 0.45 0.72 -3.76
H -0.76 -0.36 7.10
```

## Properties
E: -87330.0260 eV
Molar mass: 755.7 g mol⁻¹
E_LUMO (spin up / spin down): -6.4 / -7.6 eV
Multiplicity: 4
<S²>: 3.768
Total charge: +2
HOMO (spin up / spin down): -0.546 / -0.558 Ha
Kohn-Sham gap (spin up / spin down): 8.5 / 7.5 eV

natural (NBO) atomic charge list, values in e, 5 entries:
1. Re 1.68
2. S 0.45
3. S 2.16
4. P 2.59
5. P 2.55

----------

Entry 1:
{
  "formula": "C2H3N2S2",
  "method": "ωB97M-V/def2-TZVPD",
  "symbols": ["C", "C", "N", "N", "S", "S", "H", "H", "H"],
  "positions_angstrom": [[-0.121, 1.199, 0.545], [0.102, -1.791, 0.232], [-0.174, -1.137, 1.222], [-1.291, 1.148, 0.042], [0.731, -2.221, -1.098], [1.260, 1.512, 1.153], [-0.612, -1.264, 2.044], [-2.197, 0.615, 0.282], [-1.511, 1.590, -0.837]],
  "lowdin_charge": [-0.73, -0.79, 0.13, 0.10, 0.93, 0.97, 0.07, 0.18, 0.13],
  "e_lumo_ev": [-4.10, -9.04],
  "e_above_lowest_kj_mol": 145.6,
  "multiplicity": 3,
  "total_charge": 1,
  "total_energy_ha": -983.44495,
  "s2": 2.02,
  "homo_ev": [-12.02, -14.41]
}


Entry 2:
{
  "formula": "C2H3N3",
  "method": "ωB97M-V/def2-TZVPD",
  "symbols": ["C", "N", "N", "N", "C", "H", "H", "H"],
  "positions_angstrom": [[0.548, 1.185, 0.595], [0.309, 0.302, -0.330], [1.062, 1.938, 1.374], [-1.112, -1.376, -1.154], [-0.642, -0.712, -0.189], [-1.090, -0.848, 0.797], [-0.707, -1.092, -2.048], [1.631, 0.602, 0.955]],
  "lowdin_charge": [-0.42, 0.04, 0.20, 0.08, -0.35, 0.11, 0.05, 0.29],
  "e_lumo_ev": -0.86,
  "e_above_lowest_kj_mol": 401.1,
  "total_charge": 0,
  "total_energy_ha": -242.11989,
  "homo_ev": -9.77
}


Entry 3:
{
  "formula": "C2H3N3",
-- stop --
The molecular data stop here =

Jesus wore normal clothes, not robes.

Bibles says no to long hair, if you have a problem with it complain to it's writers, not me.

Catholicism and Orthodoxy is heresy too, he is less Heretic than both.

Actually Putin kicked out all the kikes and sold the property to gentiles.
Putin is the Holy Savior of the White Race.

Thanks a bunch !

>implies that Protestantism, Catholicism, and the Orthodoxy = heresy
You just called the entirety of Christianity heresy.

belief or opinion contrary to orthodox religious (especially Christian) doctrine.

Russia is filled with rich kikes, many of the richest people in Russia are kikes. but you are trolling anyway so whatever.

Then heresy is a useless word and not an argument.

oy vey

Simply because Putin allows them there to utilize their accounting skills.
They work for Putin with a gun to their head.

-- Calculated molecules, as found in the file --
Computed, not measured: a structure of composition C36H55N4OPPtS in a non-equilibrium geometry, with the ωB97M-V functional and the def2-TZVPD basis.

Computed properties:
Energy above the lowest of the compared OMol25 structures with the same formula, charge and spin: 0.0 kJ/mol
E_HOMO (spin up / spin down): -12.066 / -13.786 eV
Net charge: +2
Spin multiplicity: 3
Electronic energy: -69589.517 eV

Last column: Mulliken charge in e.
CARTESIAN COORDINATES (ANGSTROEM)
Pt: 10.5159 12.1493 12.0448  1.229
S: 12.7537 12.4490 11.3930  -0.546
P: 10.3073 9.9295 11.7603  0.633
O: 11.0197 12.8186 14.2483  -0.652
N: 8.3246 13.1319 11.9855  0.297
N: 10.6609 14.1662 12.0635  0.179
N: 14.1889 14.7503 11.6520  -0.393
N: 11.9244 14.7695 11.9765  -0.314
C: 8.5835 10.1493 14.0253  0.340
C: 8.5110 7.8327 12.9827  -0.810
C: 8.7461 9.3505 12.7137  1.366
C: 7.6371 8.1946 15.3788  -1.045
C: 9.9764 9.6394 9.9143  0.387
C: 5.9356 13.1999 11.9689  -1.192
C: 13.0347 14.0881 11.6914  0.557
C: 12.3586 10.1591 17.2732  -1.399
C: 10.3242 13.1438 20.7772  -1.440
C: 7.6152 10.0044 8.0008  -0.890
C: 13.7934 7.3735 11.6589  -0.823
C: 9.6323 10.9662 9.2263  -0.513
C: 11.2270 12.3593 16.5617  0.916
C: 12.1231 8.5144 13.5590  0.854
C: 9.6520 15.0348 12.1684  1.093
C: 13.3375 6.4125 12.7673  -0.743
C: 11.6149 11.4262 17.5867  0.851
C: 10.3267 13.7774 18.3283  -0.991
C: 11.4564 12.0937 15.1698  -0.272
C: 9.0093 8.5178 9.5101  -1.051
C: 7.4229 9.6425 14.9162  -1.116
C: 11.5553 8.5507 12.1301  0.770
C: 10.6644 12.8753 19.3387  0.108
C: 8.5925 7.4191 14.4515  -0.617
C: 12.6889 7.1506 13.9409  -1.018
C: 7.1414 12.5377 11.8064  0.454
C: 5.9425 14.5786 12.2543  -0.843
C: 8.9290 10.7939 7.8866  -1.145
C: 8.3461 14.4682 12.1922  0.289
C: 7.5963 8.9670 9.1457  -0.315
C: 10.5759 13.5755 16.9771  0.858
C: 11.3096 11.7046 18.9084  -0.848
C: 7.1658 15.2142 12.3618  -1.016
C: 9.7381 16.4919 12.3290  -2.044
C: 12.6635 8.2501 11.0942  -1.149
C: 10.1066 14.6732 16.0449  -0.931
H: 7.1620 11.4773 11.5222  0.230
H: 11.9142 6.5047 14.3920  0.218
H: 13.4210 7.2763 14.7529  0.507
H: 7.3993 9.5357 7.0300  0.342
H: 15.0516 14.2149 11.5966  0.265
H: 9.2176 7.2203 12.4001  0.414
H: 7.5051 7.5583 12.6018  0.472
H: 7.9276 9.6756 12.0425  -0.384
H: 9.5077 16.7454 13.3791  0.393
H: 6.4845 9.7263 14.3443  0.350
H: 5.0082 12.6398 11.8760  0.496
H: 13.3217 10.3803 16.7942  0.366
H: 7.0673 9.3666 10.0095  0.004
H: 7.2097 16.2645 12.5859  0.456
H: 14.2110 6.7674 10.8476  0.469
H: 8.4369 11.2154 13.8167  -0.085
H: 9.5067 10.0672 14.6070  -0.502
H: 10.5439 12.2515 21.3686  0.375
H: 10.6915 16.9293 12.0430  0.531
H: 8.0349 8.2050 16.3991  0.366
H: 14.6178 8.0086 12.0266  0.362
H: 8.3918 6.3446 14.4886  0.600
H: 5.0219 15.1149 12.3920  0.474
H: 8.9448 7.7522 10.2882  0.301
H: 11.3224 8.8137 14.2467  -1.269
H: 6.6722 7.6910 15.4578  0.343
H: 8.9557 16.9504 11.7254  0.476
H: 12.0001 15.7518 12.3050  0.186
H: 7.3261 10.2899 15.7855  0.449
H: 9.6965 15.4687 16.6635  0.414
H: 7.0084 8.0956 8.8234  0.499

Thank you Gentlemen, and God Bless Based Brother Nathanael.

Ignore this fully cucked Yid with the Georgian proxy posting against our Prophet Brother Nathanael. Georgians hate Russians and always elect Jews to rule them.

Brother Nathaniel is a wonderfully entertaining window into the world of the Jews. Rarely do you get someone who was on the inside for so long to show you the inner cogwheels in a way you can understand. Every time he brings up a Bible related point, I immediately open up mine to cross-reference it and sure enough, there it is.

The man mostly spends his time in the Rocky Mountains of Colorado, hanging out on the street and shouting Bible verses, singing, or other things to get the attention of people driving/walking by. He seems very cooky on first glance, but that's the point. If he wasn't striking to see, nobody would pay him any mind. Plenty of boring Christians to go around. Driving to work and seeing this old guy with a giant cross in his hand, is a way of planting Christian seeds into the everyday person's head in a harmless way.

Those who become curious seeing him so often, want to know more about why he's out there doing that and come to talk to him and ask him questions. He isn't hammering on their door at 7:00am, they come willingly to learn, which is how it should be.

Some pretty good videos of his, to name a few:

This guy is a good speaker.

>he actually believes this
this guy is right

People behind the scenes in Russia are kikes. Neither putin nor his government are red pilled lmao. The only people anti jew in Russia are neo nazi skinheads.


Hey! I live there too!
I hope to one day meet Nathaniel!
What county?

His diction is bizarre and indicative of mental illness

muh cultural appropriation!


Rrright. He's still using a kike tactic, even if he "converted".